Category: Uncategorized

  • Logic and fallacies Part 3

    Part 3: Pain and its’ Subjectivity The final realization I had today that changed the course of How I will move forward… well it actually came from the past. I was so frustrated at myself and someone I really care about. I emphasized the importance of enjoying the next 24 hours because it’s the last…

  • Logic and Fallacies Part 2

    Part 2: Invalidation There are tons of ”professional definitions” and styles or terminology for human behavior. Whether it’s in urban dictionary, viral on social media, officially listed in Webster’s Dictionary, or in a Psychology text book… we define things to help us to categorize, label, predict behavior, motives, moods, possible outcomes. We title things to…

  • Logic and Fallacies Part 1

    I genuinely missed having all types of discussions. Recently I’ve made excuses for the ghostly form of what once seemed solid as concrete. I’ve blamed myself, as usual, and the stress distracting me. Until I realized I needed to have that time together. Talk, not just eat, shower, sleep, repeat every night at 5pm. I…

  • Lotus Flower

     The Sacred Lotus is a teaching of empowerment and how the inner determination of a person can transform everything and at this moment create infinite potential and honor. पद्म Lotus Flower padma lotus [Nelumbo nucifera – Bot.] नलिनी Sacred Lotus nalini sacred lotus [Nelumbo nucifera – Bot.] Buddhists, for example, believe that they need to…

  • Intrinsic Gratification

    Sanskrit Translations अन्तर्ज्ञानम् (Intuition) स्ट्रेंगक्थ (Strength) डेरिंग (Daring) कर्म  (Karma) The last one on the list is tattooed on my wrist. Karma translates to “human action” in Sanskrit. The belief there is inherently more to action than a simple act. I have recently realized that it was really me who held myself back from true…

  • Whirlwind

    In the past I used to pride myself on being able to weather a storm. Sometimes in our lives a lot of things happen seemingly simultaneously. Chaos brews and priorities can be difficult to clearly define. As soon as your mind is set to work on one goal, something else more urgent pops up and…

_Crystal structures from another source follow_
-- begin --
Record 1
Material: Sr2CdCuS2O2
Method: DFT, PBE
State: relaxed

Structure (extended XYZ):
```
8
Lattice="-1.974 1.974 9.748 1.974 -1.974 9.748 1.974 1.974 -9.748" Properties=species:S:1:pos:R:3 pbc="T T T"
Sr 0.000 0.000 1.712
Sr 0.000 0.000 17.784
Cd 0.000 1.974 4.874
Cu 0.000 0.000 9.748
S 0.000 0.000 6.562
S 0.000 0.000 12.935
O 0.000 1.974 0.024
O 0.000 1.974 9.725
```

Properties
Energy of formation from the pure elements ... -1.849 eV/atom

---

Record 2
Material: V4N3
Method: DFT, PBE
State: relaxed

Structure (extended XYZ):
```
7
Lattice="-2.044 2.044 4.014 2.044 -2.044 4.014 2.044 2.044 -4.014" Properties=species:S:1:pos:R:3 pbc="T T T"
V 2.044 0.000 0.000
V 0.000 0.000 1.989
V 0.000 2.044 0.000
V 0.000 0.000 6.040
N 2.044 0.000 2.007
N 0.000 0.000 4.014
N 0.000 2.044 2.007
```

Properties
Energy of formation from the pure elements ... -1.140 eV/atom

---

Record 3
Material: CsLuNb6Cl18
Method: DFT, PBE
State: relaxed

Structure (extended XYZ):
```
52
Lattice="9.406 0.000 0.000 -4.703 8.146 0.000 0.000 0.000 17.507" Properties=species:S:1:pos:R:3 pbc="T T T"
Cs 0.000 5.431 4.377
Cs 4.703 2.715 13.130
Lu 0.000 5.431 13.130
Lu 4.703 2.715 4.377
Nb -0.533 1.607 9.948
Nb -3.578 6.881 16.312
Nb 0.533 1.607 16.312
Nb -3.045 7.804 9.948
Nb 1.658 0.342 1.194
Nb 1.125 1.265 7.559
Nb 3.578 6.881 9.948
Nb 3.045 7.804 16.312
Nb 7.749 0.342 7.559
Nb 4.171 6.539 1.194
Nb 8.281 1.265 1.194
Nb 5.236 6.539 7.559
Cl -0.640 1.907 5.952
Cl -3.372 6.638 2.802
Cl -1.241 3.680 11.612
Cl -2.137 5.231 14.648
Cl -0.657 3.391 0.027
Cl -2.095 5.881 8.727
Cl 0.640 1.907 2.802
Cl -2.732 7.747 5.952
Cl 1.972 0.399 14.705
Cl 1.331 1.508 11.555
Cl 0.657 3.391 8.727
Cl -1.438 7.020 0.027
Cl 1.241 3.680 14.648
Cl -0.896 7.381 11.612
Cl 3.265 1.126 8.780
Cl 2.608 2.265 17.480
Cl 3.808 0.765 2.858
Cl 2.566 2.915 5.895
Cl 2.137 5.231 11.612
Cl 0.896 7.381 14.648
Cl 2.095 5.881 0.027
Cl 1.438 7.020 8.727
Cl 5.599 0.765 5.895
Cl 3.462 4.466 2.858
Cl 6.141 1.126 17.480
Cl 4.046 4.755 8.780
Cl 3.372 6.638 5.952
Cl 2.732 7.747 2.802
Cl 7.435 0.399 11.555
Cl 4.063 6.239 14.705
Cl 6.798 2.265 8.780
Cl 5.360 4.755 17.480
Cl 6.840 2.915 2.858
Cl 5.945 4.466 5.895
Cl 8.075 1.508 14.705
Cl 5.344 6.239 11.555
```

Properties
Energy of formation from the pure elements ... -1.912 eV/atom

---

Record 4
Material: Na4Cu6O5
Method: DFT, PBE
State: relaxed

Structure (extended XYZ):
```
30
Lattice="7.811 0.000 0.000 -3.906 6.765 0.000 0.000 0.000 8.053" Properties=species:S:1:pos:R:3 pbc="T T T"
Na 0.000 0.000 0.000
Na 0.000 0.000 4.026
Na -0.651 2.763 2.013
Na -1.187 5.947 2.013
Na 2.718 0.817 6.039
Na 1.839 4.819 2.013
Na 3.254 4.002 6.039
Na 5.744 1.945 6.039
Cu -1.471 4.819 4.756
Cu -1.471 4.819 7.323
Cu 0.467 3.081 4.756
Cu 0.467 3.081 7.323
Cu 2.435 1.946 0.730
Cu 2.435 1.946 3.296
Cu 1.003 5.629 4.756
Cu 1.003 5.629 7.323
Cu 4.909 1.136 0.730
Cu 4.909 1.136 3.296
Cu 4.373 3.683 0.730
Cu 4.373 3.683 3.296
O -2.683 5.344 6.039
O 0.619 1.769 6.039
O 1.223 1.421 2.013
O 0.000 4.510 0.436
-- stop --
_Here the article continues_

  • Turning Tides

    Turning Tides

    There are times in our lives we reach a fork in the road. Some decisions to be made are large, others smaller. Like the Robert Frost poem, two roads diverging in the woods…. Sometimes it takes a little while to digest how big the fork in these paths might be. By that I mean, the…

  • Trimming to Fit

    “The pessimist complains about the winds. The optimist expects it to change direction.The realist adjusts the sails.” I love sailing. I haven’t been able to nearly as much as I did in my 20s. I even moved to one of the sailing capitals of the nation, only to have 2 seasons cancelled because of the…

  • Veritas Intrepidus

    Fortis Fortuna Adiuvat Fearless Truth; Fortune Favors the Bold A Reflective Post/Expansion of entry 04.27.2022 There were a series of books I read in my youth that introduced me to a fictitious character that was “born without the fear gene”. She was fearless. Best part was, she described some natural human instincts and reactions…

  • Worth the Wait

Materials data, kept here for reference:
/*
10
Lattice="0.942 -2.919 4.783 -2.786 -4.859 0.958 2.777 -4.954 -0.195" Properties=species:S:1:pos:R:3 comment="Sr2FeWO6, relaxed, DFT PBE with a Hubbard U" energy_corrected_mp2020_ev_per_atom=-7.9089 sg="No. 225" mass_density_g_cm3=6.540 crystal_system=cubic pbc="T T T"
Sr 0.233 -3.183 1.387
Sr 0.699 -9.548 4.160
W 0.000 0.000 0.000
Fe 0.466 -6.366 2.773
O 1.645 -5.645 1.259
O 0.709 -4.607 3.799
O -1.194 -5.596 1.847
O 0.224 -8.124 1.748
O 2.126 -7.135 3.700
O -0.713 -7.086 4.288

=====

20
Lattice="5.743 -0.006 -0.008 -0.005 5.759 -0.010 -0.011 -0.011 8.010" Properties=species:S:1:pos:R:3 comment="Sr2FeWO6, relaxed, DFT PBE with a Hubbard U" energy_corrected_mp2020_ev_per_atom=-8.1131 sg="No. 2" mass_density_g_cm3=6.405 crystal_system=triclinic pbc="T T T"
O 1.329 1.171 4.265
O 2.815 0.359 2.074
O 4.545 4.399 0.258
O 2.911 5.383 5.919
O 4.191 1.684 7.731
O 4.066 1.514 4.270
O 5.688 2.502 1.907
O 0.038 3.240 6.086
O 4.397 4.571 3.728
O 1.535 4.058 0.262
O 1.181 1.343 7.735
O 1.660 4.228 3.723
Fe -0.008 2.874 4.000
Fe 2.871 -0.002 -0.004
Sr 5.579 0.010 6.018
Sr 0.147 5.733 1.975
Sr 2.698 2.841 5.996
Sr 3.028 2.901 1.997
W -0.014 2.868 8.005
W 2.866 -0.008 4.001

=====

20
Lattice="4.950 0.064 2.919 -1.631 4.627 -2.829 -6.483 4.696 5.747" Properties=species:S:1:pos:R:3 comment="Sr2FeWO6, relaxed, DFT PBE with a Hubbard U" energy_corrected_mp2020_ev_per_atom=-8.1103 sg="No. 2" mass_density_g_cm3=6.418 crystal_system=triclinic pbc="T T T"
O -2.417 3.596 1.522
O 2.241 3.779 1.468
O 3.581 1.369 2.676
O -6.678 7.961 3.227
O -5.361 5.534 4.407
O -3.936 8.224 4.482
O -0.213 3.389 3.162
O -3.018 6.057 2.610
O 0.835 1.098 1.397
O -0.504 5.606 1.541
O -0.810 5.857 4.274
O -2.704 3.857 4.259
Sr -3.186 5.889 5.814
Sr 0.033 3.505 0.065
Sr 0.071 3.565 5.772
Sr -3.247 5.815 0.025
Fe -4.848 7.009 2.919
Fe 1.684 2.379 2.919
W -8.087 9.307 2.926
W -1.609 4.710 2.911

=====

20
Lattice="4.228 0.791 3.836 -3.643 4.183 -1.039 -4.497 -6.035 6.351" Properties=species:S:1:pos:R:3 comment="Sr2FeWO6, relaxed, DFT PBE with a Hubbard U" energy_corrected_mp2020_ev_per_atom=-8.1096 sg="No. 2" mass_density_g_cm3=6.421 crystal_system=triclinic pbc="T T T"
O 0.059 0.579 1.866
O -3.836 0.981 2.188
O -4.310 -0.267 4.596
O 0.456 -0.862 4.533
O -3.965 -4.208 5.809
O -1.965 -2.102 5.070
O 0.018 -2.117 6.976
O -4.066 -1.567 7.265
O -6.310 -2.373 5.335
O -1.878 0.953 4.150
O -0.006 3.214 3.357
O 2.329 1.398 3.740
W 4.191 0.813 3.834
W -3.740 1.539 4.056
Sr -2.193 -3.721 7.662
Sr -1.704 2.705 1.426
Sr -2.074 -1.144 2.628
Sr -1.854 0.037 6.578
Fe -4.138 -2.238 5.203
Fe 0.226 1.177 3.944

=====

20
Lattice="4.928 0.035 2.879 -1.604 4.659 2.880 -3.285 -4.637 5.672" Properties=species:S:1:pos:R:3 comment="Sr2FeWO6, relaxed, DFT PBE with a Hubbard U" energy_corrected_mp2020_ev_per_atom=-8.0703 sg="No. 2" mass_density_g_cm3=6.488 crystal_system=triclinic pbc="T T T"
Fe -1.625 -2.290 8.549
Fe -3.246 2.341 5.716
O 0.808 1.131 1.394
O -1.081 -0.963 7.157
O 3.868 -0.851 4.212
*/

    I genuinely never understood the saying “It is better to have loved and lost than never to have loved at all.” Until now. It is the most soul crushing thing to allow yourself to break down years of fortified walls to become close with someone who you eventually lose. You could lose them to illness…